Hi, LJ Land! This is how Kirsten procrastinates: by giving attention to her neglected journal. :P
What am I procrastinating on? Well, I found out that UW actually has a 1-year Natural Science Illustration certificate program that I really want to apply for... so now I'm working on my portfolio. It's been neglected for awhile, so it needs serious love. Working on animal drawings... and trying to come up with a professional-looking website. I should probably get around to learning CSS now. Welcome to five years ago? I did finish
this sea otter piece on DA. I have a clouded leopard piece, an alligator piece, and a Florida scrub jay piece going on now. Mmmm, art ADD!
Also, Twitter,
The Nerd Machine, and
Firefly DVDs facilitate distraction.
Running hit a bit of a slowdown, although not unexpected. My old shoes were finally kicking the bucket, so I broke down and got new ones -
Saucony Progrid Guide 3. The hitch is, of course, that they still need to be broken in. :P Had a bit of a sore foot, so the long runs got cut short. And as soon as it felt better, we got 7" of snow, and so I
was too lazy to couldn't go out and run in it. :P Trying to get back on track, though!
Finally got around to writing a
Chuck fanfic, as you saw. I was having a "lay in bed until noon" morning, and that all ran through my head while I put off getting up. :p The show's been really up and down lately... I like the general direction they're going, but some episodes are really hit-or-miss. I just hope the show can squeeze out a fifth season. I think that is this show's eternal fate: to spend each season clinging to shreds of hope that it will get another. Also, I have decided that, until Zachary Levi sings on the show, it can't end. :P
Oooh, but I
did score San Diego ComicCon tickets! I fought the epic battle with TicketLeap, and came out victorious! I have a 4-day pass, and now it's just a matter of saving up the money to get there and have fun! Definitely gonna get a Disneyland day in while I'm there, too - I still have a couple of comp tickets left, and I haven't seen World of Color yet. And the new Star Tours, Mickey's Soundsational Parade, and the Little Mermaid ride will be open by then. Epic win!
And reading! Haven't read as much lately, mainly 'cause I've been sketching on my lunch breaks. But I definitely have a giant stack of backlogged books to read.
( January/February 2011 Books!Collapse )Also, why did I not learn of the awesomeness of the
Next to the page, the page also holds records of crystals =
-- begin --
VASP calculation (PBE+U) on a relaxed CoBNF2 crystal.

The value obtained for the polymorph energy (0 for the lowest one) is 1066 meV per atom. The value obtained for the total magnetization is 1.63 μB/cell. The final energy comes out at -4.3006 eV/atom.

The space group is P4/mmm (No. 123) and the conventional cell measures 4.076, 4.076 and 3.477 Å, with angles of 90.00, 90.00 and 90.00 degrees. The inequivalent atoms are Co at (0.000, 0.000, 0.000), B at (0.500, 0.500, 0.500), N at (0.000, 0.000, 0.500) and F at (0.000, 0.500, 0.000).

~~~~~

Record 1
PrGdSc2Sb2: optimized geometry, PBE.

Summary:
symmetry = No. 107
total energy = -5.91 eV per atom
magnetization = 0.1585 μB/atom

abc: 8.8242 8.8242 8.8242
angles: 150.93 150.93 41.57
Positions (direct):
Pr  0.0000  0.0000  0.0000
Gd  0.3513  0.3513  0.0000
Sc  0.1773  0.6773  0.5000
Sc  0.6773  0.1773  0.5000
Sb  0.5491  0.5491  0.0000
Sb  0.8039  0.8039  0.0000

Record 2
HoNiIr: optimized geometry, PBE.

Summary:
symmetry = No. 74
total energy = -7.02 eV per atom
magnetization = 0.0005 μB/atom

abc: 5.1910 5.1910 5.1910
angles: 121.93 117.57 90.48
Positions (direct):
Ho  0.3722  0.1222  0.2500
Ho  0.6278  0.8778  0.7500
Ni  0.0000  0.0000  0.5000
Ni  0.0000  0.5000  0.0000
Ir  0.0000  0.5000  0.5000
Ir  0.5000  0.5000  0.0000

Record 3
DyY2FeCo6Ni2: optimized geometry, PBE.

Summary:
symmetry = No. 166
total energy = -6.84 eV per atom
magnetization = 0.8063 μB/atom

abc: 8.5627 8.5627 8.5627
angles: 33.88 33.88 33.88
Positions (direct):
Dy  0.0000  0.0000  0.0000
Y  0.1392  0.1392  0.1392
Y  0.8608  0.8608  0.8608
Fe  0.5000  0.5000  0.5000
Co  0.0812  0.5826  0.5826
Co  0.4174  0.4174  0.9188
Co  0.4174  0.9188  0.4174
Co  0.5826  0.0812  0.5826
Co  0.5826  0.5826  0.0812
Co  0.9188  0.4174  0.4174
Ni  0.3334  0.3334  0.3334
Ni  0.6666  0.6666  0.6666

Record 4
Zn3TeAs2Pb3O14: optimized geometry, PBE.

Summary:
symmetry = No. 150
total energy = -5.52 eV per atom

abc: 8.4870 8.4870 5.2619
angles: 90.00 90.00 120.00
Positions (direct):
Zn  0.0000  0.2387  0.0000
Zn  0.2387  0.0000  0.0000
Zn  0.7613  0.7613  0.0000
Te  0.0000  0.0000  0.5000
As  0.3333  0.6667  0.0433
As  0.6667  0.3333  0.9567
Pb  0.0000  0.5924  0.5000
Pb  0.4076  0.4076  0.5000
Pb  0.5924  0.0000  0.5000
O  0.0883  0.8726  0.7117
O  0.1274  0.2157  0.7117
O  0.1895  0.4580  0.1789
O  0.2157  0.1274  0.2883
O  0.2685  0.8105  0.1789
O  0.3333  0.6667  0.7201
O  0.4580  0.1895  0.8211
O  0.5420  0.7315  0.1789
O  0.6667  0.3333  0.2799
O  0.7315  0.5420  0.8211
O  0.7843  0.9117  0.7117
O  0.8105  0.2685  0.8211
O  0.8726  0.0883  0.2883
O  0.9117  0.7843  0.2883

~~~~~

Record 1
The following is a GGA-PBEsol calculation of a relaxed structure of MgCd3, from Alexandria.

## Properties
SG: Imm2
E above lowest polymorph: 21 meV per atom
crystal system: orthorhombic

a = 3.094 Å, b = 10.280 Å, c = 5.228 Å
α = 90.00°, β = 90.00°, γ = 90.00°
Fractional coordinates of all 8 atoms:
Mg  0.000  0.000  0.000
Mg  0.500  0.500  0.500
-- stop --
So much for the records of crystals =
Dinosaur score before? This music is the perfect mood-setting for wildlife drawing. Way to fail at Disney music, Kirsten.